How To Do Personalized Outreach At Scale

Personalized Outreach At Scale - cover photo

Having trouble grabbing people’s interest? Personalized outreach at scale could help you reach many people at once, with ease.

Why do it? 80% of consumers expect personalized experiences now. A one-size-fits-all approach doesn’t cut it anymore. Personalization builds stronger connections, boosts engagement, and maximizes conversions.

Sounds good? This guide covers the full personalized outreach process. You’ll learn data strategies, content tactics, and automation tools. Everything to execute personalized marketing in large quantities.

What is personalized outreach?

Personalized outreach means connecting with someone in a way that feels tailored just for them. This method involves customizing your message to fit the recipient’s interests, needs, or past behavior. The goal is to make your communication feel unique and relevant.

For example, imagine you’re a sales rep. Instead of sending a generic email to a potential customer, sales reps refer to their recent activities or interests.

“Hi Jane, I saw you attend our webinar on digital marketing last week. I thought you might be interested in our latest ebook on advanced social media strategies.”

In another scenario, a nonprofit organization reaches out to past donors. They might say,

“Hi John, thank you for your generous donation last year. Your support helped us launch three new community programs. We’d love to share more updates with you.”

Here’s yet another awesome example of a collaboration proposal:

screenshot of a personalized message


Personalized outreach isn’t limited to emails. Social media platforms are another powerful tool. Suppose you’re a recruiter. You notice a LinkedIn user frequently engages with posts about remote work. You could message them.

“Hi Alex, I saw your interest in remote work. We have a few remote positions that might be a great fit for you.”

There are many ways to personalize emails. Use the recipient’s name, tweak your subject lines, mention specific interests, or refer to past interactions. Keep your tone friendly and professional. Show that you’ve done your homework and genuinely care about connecting with them.

The key to successful personalized outreach is relevance. Your message must align with the recipient’s interests and needs. Such an approach can boost engagement and build stronger relationships.

Types of personalization

Personalization tactics come in different forms. Let’s look at three types: behavioral, temporal, and contextual.

Behavioral personalization tailors messages based on someone’s actions. For example, if a user often browses running shoes on a website, they might get an email saying,

“Hi Sarah, we noticed you’ve been looking at our new running shoe collection. Here’s a 10% discount on your next purchase. Happy running!”

Temporal personalization uses timing to make messages more relevant. For instance, a coffee shop app might send a push notification at 8 a.m.

“Good morning, Tom! Start your day with a fresh latte. Here’s a 20% off coupon for your next order.”

Contextual personalization adapts messages to the current situation or location of the user. An example would be a weather app sending an alert:

“Hey Jessica, it’s going to rain in your area this afternoon. Don’t forget your umbrella! Check out our tips on staying dry.”

Each type of personalization makes the user feel seen and valued. Behavioral personalization looks at what the user has done in the past to make sure the message fits their interests.

With temporal personalization, the message is more likely to be acted upon because it arrives at the right moment. Contextual personalization considers the user’s current environment, making the message timely and practical.

To use these effectively, you must gather user behavior, preferences, and context data. Tools like analytics platforms and customer relationship management (CRM) systems can help. Always respect privacy and use data responsibly.

Incorporating these types of personalizations can increase engagement, satisfaction, and loyalty. Tailor your approach to fit each user’s unique context and make your communication stand out.

After learning about personalized outreach, you may be wondering, “How do I do it on a large scale?” We’ve got you covered with six steps to successful outreach at scale.

Key steps to personalized outreach at scale

Let’s get into the nitty-gritty details of personalized outreach.

Step 1: Find your ideal customer profile

Finding your ideal customer profile (ICP) is needed to target your marketing efforts and drive business growth. Here’s how to identify your ICP:

Find your power users

Start by analyzing your current customers. Focus on those who derive the most value from your product or service.

These super users are typically the ones who frequently engage with your offerings, provide positive feedback, and have a high lifetime value. Look at common characteristics like industry, company size, and purchasing behavior.

_What comes next are crystal structures, not part of the page_
____________
K3NiPCO7: simulated powder X-ray diffraction pattern (a wavelength of 1.5418 Å), based on a DFT-relaxed cell (GGA+U, Alexandria).
Lines closer than 0.1° are merged.

```
data_K3NiPCO7
_space_group_name_H-M_alt 'P 1'
_space_group_IT_number 1
_cell_length_a 5.637
_cell_length_b 6.875
_cell_length_c 9.520
_cell_angle_alpha 90.00
_cell_angle_beta 90.01
_cell_angle_gamma 90.00
loop_
_space_group_symop_operation_xyz
'x,y,z'
loop_
_atom_site_label
_atom_site_type_symbol
_atom_site_fract_x
_atom_site_fract_y
_atom_site_fract_z
_atom_site_occupancy
K1 K 0.249 0.011 0.201 1
K2 K 0.249 0.489 0.201 1
K3 K 0.251 0.750 0.569 1
K4 K 0.749 0.250 0.431 1
K5 K 0.751 0.511 0.799 1
K6 K 0.751 0.989 0.799 1
Ni1 Ni 0.250 0.250 0.847 1
Ni2 Ni 0.750 0.750 0.153 1
P1 P 0.249 0.750 0.919 1
P2 P 0.751 0.250 0.081 1
C1 C 0.249 0.250 0.583 1
C2 C 0.751 0.750 0.417 1
O1 O 0.021 0.750 0.011 1
O2 O 0.052 0.250 0.656 1
O3 O 0.249 0.250 0.448 1
O4 O 0.251 0.566 0.823 1
O5 O 0.251 0.934 0.823 1
O6 O 0.447 0.250 0.655 1
O7 O 0.473 0.750 0.014 1
O8 O 0.527 0.250 0.986 1
O9 O 0.553 0.750 0.345 1
O10 O 0.749 0.066 0.177 1
O11 O 0.749 0.434 0.177 1
O12 O 0.751 0.750 0.552 1
O13 O 0.948 0.750 0.344 1
O14 O 0.979 0.250 0.989 1
```

The 10 most intense peaks (5 to 70 degrees two-theta), low angle first:
d [Å]  I (rel.)
9.520  66
4.850  22
3.437  33
3.173  20
2.818  54
2.805  100
2.787  42
2.765  34
2.107  49
1.719  20

----------

NbVFe: simulated powder XRD pattern (Cu Kα X-rays), based on a crystal structure in Alexandria, relaxed with PBE.
Peak positions follow from Bragg's law for the DFT cell and can differ from measured ones.

Structural model:
```
data_NbVFe
_chemical_formula_sum 'Nb4 V4 Fe4'
_cell_length_a 4.930
_cell_length_b 5.009
_cell_length_c 6.844
_cell_angle_alpha 90.00
_cell_angle_beta 90.00
_cell_angle_gamma 90.00
_symmetry_space_group_name_H-M 'I m m a'
_symmetry_Int_Tables_number 74
_symmetry_space_group_name_Hall '-I 2b 2'
loop_
_atom_site_label
_atom_site_fract_x
_atom_site_fract_y
_atom_site_fract_z
_atom_site_occupancy
Nb1 0.000 0.250 0.127 1
V1 0.250 0.250 0.750 1
Fe1 0.000 0.000 0.500 1
```

Largest 10 diffraction maxima, by intensity, 10° ≤ 2θ ≤ 80°:
(hkl), 2θ/deg, Rel. int.
1 2 1, 42.59, 100
1 1 2, 36.66, 89
2 1 1, 42.98, 86
1 0 3, 43.72, 49
2 2 4, 77.95, 40
0 1 3, 43.60, 39
0 2 2, 44.85, 33
3 2 1, 69.81, 30
2 0 2, 45.34, 29
2 0 0, 36.45, 27

----------

Computed XRD peak list of Ca2H2O3 for Cu Kα X-rays, from DFT lattice parameters and positions (PBE).
Lines closer than 0.1° are merged.

Atomic structure:
Cell: 3.520 3.520 8.190 Å, 90.00 90.00 120.00°
Atoms (fractional coordinates):
Ca (0.333, 0.667, 0.170)
Ca (0.667, 0.333, 0.830)
H (0.333, 0.667, 0.568)
H (0.667, 0.333, 0.432)
____________
_The page goes on_

Gather data

Collect both quantitative and qualitative data. Use tools like your CRM to gather insights on revenue, location, team size, and buying patterns.

Additionally, interview your best customers to understand their buying processes, motivations, and pain points. Ask them how they found your product, why they chose it, and how it benefits them.

Analyze the data

Look for patterns and commonalities in the data you’ve collected. Identify shared characteristics among your super users, such as industry trends, company size, geographic location, and specific challenges they face.

This analysis helps you understand what makes these customers ideal and how they align with your business goals.

Create your ideal customer profile

Compile your findings into a clear, detailed document. Include key attributes like industry, revenue, and needs or pain points. Describe the decision-makers within these organizations and their roles. Such a document serves as a blueprint for your marketing and sales team.

Test and refine

Your ICP isn’t static. Review and update it regularly based on new data and market trends. Test your profile by targeting campaigns toward these ideal customers and measuring the outcomes. Adjust it as needed to better reflect your evolving business and market conditions.

Here’s what an example ICP for a cold email software company might look like:

screenshot of ICP for personalization efforts

Step 2: Collect data and enrich it

You need as much data as you can get for successful personalized outreach at scale.

We suggest you leverage the native integration between Woodpecker and Uplead. This combination makes gathering and improving data easier, ensuring that your messages are relevant and have the desired effect.

Set up your Uplead and Woodpecker integration

marketing automation platforms


Log into your Uplead account. Navigate to your profile settings and select “Connect to my CRM.” Choose Woodpecker from the menu and press “connect.” Enter your API key from your Woodpecker account to establish the connection.

multiple channels


Collect data with Uplead

Use Uplead to build a high-quality prospect list. Uplead allows you to search based on over 50 criteria, such as industry, job title, location, and company size.

To do this, simply select the criteria on the left-hand side, and the results will appear immediately.

email personalization with uplead


This precision helps you find the right contacts quickly. Additionally, Uplead verifies email addresses in real time, so you only get valid contact information.

Import contacts to Woodpecker

Once you have your prospect list, import these contacts directly into Woodpecker. Use the native integration to transfer contacts effortlessly. More information on importing lists to Woodpecker can be found here.

Enrich data with Uplead

Data Enhancement for sales teams


Use Uplead’s enrichment features to improve the information you have about your prospects. Gather additional details like social media profiles, recent activities, and company insights. This enriched data helps you craft highly personalized messages that resonate with your prospects.

Analyze and segment your data

In Woodpecker, analyze your imported data. Segment your contacts based on their attributes and behaviors. For example, group them by industry, job title, or recent interactions. This segmentation allows you to tailor your outreach more effectively.

Now you have rich, complete data about each prospect, ready for personalization. You can move on to the next step, which is ongoing monitoring of prospect behavior.

Step 3: Monitor prospect behavior

To boost your sales, you need to keep a close eye on how prospects behave. Use user behavior analytics tools like Google Analytics, Hotjar, or Crazy Egg. Here’s how and why to do it:

First, track when prospects land on your website. It shows what brought them there. Was it an email, a social media post, or an ad? Knowing that helps you understand which channels are working.

Next, pay attention to what emails they open and click. Email tracking tools like Yesware or Mailchimp show such data. You see what subjects grab their attention. You know which links they find interesting. This information helps you tailor your future emails to be more engaging.

Watch for the points where prospects sign up for free trials. This is a key moment in their journey. Tools like Mixpanel or Pendo can track these actions. When that happens, try suggesting a specific feature, a discount, or a strong call-to-action.

Finally, monitor when they convert to customers. It is the ultimate goal. Look at what actions they took before buying. Did they visit the pricing page multiple times? Did they download a whitepaper? Tools like HubSpot or Kissmetrics can help you track these conversions.

By analyzing these behaviors, you see what works and what doesn’t. You adjust your strategies based on real data and make informed decisions that drive results.

Use these insights to optimize your website, emails, and overall strategy. Always test different approaches. See what gets the best response. Monitoring prospect behavior isn’t just about collecting data. It’s about using that data to improve your sales process and driving more conversions. Keep tweaking and refining your approach to stay ahead.

Step 4: Send personalized messages

Sending personalized messages can transform your email outreach. Here’s how and why to do it effectively:

Use custom fields to personalize your emails. Tools like Woodpecker help you do this. Instead of just using the recipient’s first name and company, you can add specific details that make your email stand out. For example, mention where you found the prospect, refer to their recent blog post, or highlight something specific about their company. Custom fields can include:

  • First name
  • Company name
  • Job title
  • Industry
  • Specific achievements or projects
  • Location
  • Pain points
Gif with adding snippets to email


Personalized emails show that you took the time to understand the recipient.

This increases the chance they’ll engage with your message. When emails look and feel unique, they have a higher chance of being read and responded to. Personalization also improves deliverability rates. Emails with high-level personalization are less likely to be flagged as spam because they don’t look like bulk messages.

Here’s what to include:

  1. Recipient’s name and company: Basic but crucial.
  2. Source of contact: Mention where you found their details. For example, “I saw your recent post on LinkedIn about sales strategies.”
  3. Specific interests or achievements: Highlight something unique about the recipient. “I noticed your company recently won an award for innovation.”
  4. Relevant personalized content: Refer to their work, like a blog post they wrote. “Your article on email marketing was insightful.”
  5. Reason for reaching out: Be clear about why you’re contacting them. “I believe our tool can help improve your outreach efforts.”

Using these elements will make your cold emails feel more genuine. Personalization shows respect for the recipient’s time and increases your chances of building a meaningful connection. Use these strategies to craft emails that stand out and drive better results.

=====
Record 1
This entry pairs a crystal structure of Na2UPtO5 with its theoretical powder diffraction line list. Radiation: CuKα. Structure: a structure optimized by DFT (PBE).
Neutral-atom scattering factors, no anomalous dispersion.

Peak list (12 most intense, 2θ = 10–80°, low angle first)
- 2θ 14.79, d = 5.991 Å, I = 100
- 2θ 29.84, d = 2.995 Å, I = 63
- 2θ 33.46, d = 2.678 Å, I = 68
- 2θ 42.70, d = 2.117 Å, I = 67
- 2θ 45.43, d = 1.996 Å, I = 35
- 2θ 52.96, d = 1.729 Å, I = 20
- 2θ 55.30, d = 1.661 Å, I = 21
- 2θ 61.98, d = 1.497 Å, I = 10
- 2θ 64.11, d = 1.453 Å, I = 22
- 2θ 70.29, d = 1.339 Å, I = 27
- 2θ 72.31, d = 1.307 Å, I = 15
- 2θ 78.19, d = 1.223 Å, I = 23

Crystal structure
```
data_Na2UPtO5
_chemical_formula_sum 'Na4 U2 Pt2 O10'
_cell_length_a 5.988
_cell_length_b 5.988
_cell_length_c 5.991
_cell_angle_alpha 90.00
_cell_angle_beta 90.00
_cell_angle_gamma 90.00
_space_group_name_H-M_alt 'P 4/m b m'
_space_group_IT_number 127
_space_group_name_Hall '-P 4 2ab'
loop_
_atom_site_label
_atom_site_type_symbol
_atom_site_fract_x
_atom_site_fract_y
_atom_site_fract_z
_atom_site_occupancy
Na1 Na 0.158 0.342 0.000 1
U1 U 0.000 0.000 0.500 1
Pt1 Pt 0.000 0.500 0.500 1
O1 O 0.000 0.000 0.000 1
O2 O 0.187 0.687 0.302 1
```

=====

Record 2
This entry pairs a crystal structure of Na2UPtO6 with its theoretical powder diffraction line list. Radiation: CuKα. Structure: a structure optimized by DFT (PBE).
Neutral-atom scattering factors, no anomalous dispersion.

Peak list (12 most intense, 2θ = 10–80°, low angle first)
- 2θ 21.04, d = 4.223 Å, I = 54
- 2θ 21.97, d = 4.046 Å, I = 98
- 2θ 30.60, d = 2.921 Å, I = 100
- 2θ 31.27, d = 2.861 Å, I = 47
- 2θ 37.99, d = 2.369 Å, I = 22
- 2θ 44.80, d = 2.023 Å, I = 30
- 2θ 48.64, d = 1.872 Å, I = 24
- 2θ 49.99, d = 1.824 Å, I = 22
- 2θ 50.44, d = 1.809 Å, I = 22
- 2θ 53.97, d = 1.699 Å, I = 21
- 2θ 55.23, d = 1.663 Å, I = 40
- 2θ 63.71, d = 1.461 Å, I = 20

Crystal structure
```
data_Na2UPtO6
_chemical_formula_sum 'Na2 U1 Pt1 O6'
_cell_length_a 5.722
_cell_length_b 5.722
_cell_length_c 4.223
_cell_angle_alpha 90.00
_cell_angle_beta 90.00
_cell_angle_gamma 90.00
_space_group_name_H-M_alt 'P 4/m m m'
_space_group_IT_number 123
_space_group_name_Hall '-P 4 2'
loop_
_atom_site_label
_atom_site_type_symbol
_atom_site_fract_x
_atom_site_fract_y
_atom_site_fract_z
_atom_site_occupancy
Na1 Na 0.000 0.500 0.000 1
U1 U 0.000 0.000 0.500 1
Pt1 Pt 0.500 0.500 0.500 1
O1 O 0.000 0.000 0.000 1
O2 O 0.252 0.252 0.500 1
O3 O 0.500 0.500 0.000 1
```

=====

Record 3
This entry pairs a crystal structure of Na4ZnPt3O8 with its theoretical powder diffraction line list. Radiation: CuKα. Structure: a structure optimized by DFT (PBE).
Neutral-atom scattering factors, no anomalous dispersion.

Peak list (12 most intense, 2θ = 10–80°, low angle first)
- 2θ 17.12, d = 5.179 Å, I = 100
- 2θ 29.04, d = 3.075 Å, I = 24
- 2θ 33.26, d = 2.693 Å, I = 51
- 2θ 33.62, d = 2.666 Å, I = 44
- 2θ 34.59, d = 2.593 Å, I = 53
=====

Step 5: Send follow-up messages strategically

Sending follow-up messages strategically can make or break your sales campaign.

Here’s how and why to do it right:

Start by planning your sequence. Use automation tools like Woodpecker to automate follow-ups. Create a series of emails that build on each other. Don’t just remind prospects to reply; add value with each message.

For example, share case studies, relevant articles, or new insights. Schedule the first follow-up two to three days after the initial email. Space out subsequent emails over a week or more to avoid being pushy.

Timing is crucial. Follow up based on the prospect’s previous activity.

If they opened your email but didn’t respond, wait a few days before sending a follow-up. If they clicked a link, mention it in your next email and provide more related content.

Use tracking tools to see when they engage with your emails. Adjust your follow-up timing based on this behavior. You show that you’re attentive and responsive.

Follow-ups are super important because they increase response rates. In fact, B2B prospects need five follow-ups 80% of the time.

Many prospects miss the first email or forget to reply. A well-timed follow-up gives them another chance to respond. Follow-ups also build trust. They show you’re persistent and serious about helping them. Each follow-up adds more context and relevance, making your offer more appealing.

These elements are super important:

  1. Reminder of the initial email: Briefly mention your first email.
  2. New value proposition: Add something new, like a case study or an article.
  3. Call to action: Be clear about what you want them to do next.
  4. Personalization: Reference any interactions they had with your previous emails.

By following these steps, you create a follow-up strategy that feels natural and respectful. Each follow-up should provide value and encourage engagement.

Keep refining your approach based on what works best for your target audience. You will maximize your chances of turning prospects into customers.

Step 6: Analyze, rinse and repeat

To refine your email campaigns, you need to dive into the analytics. Woodpecker offers several powerful features to help you analyze your outreach efforts and spot areas for improvement.

Start by accessing your Woodpecker dashboard.

Here, you’ll find detailed reports on open rates, click-through rates, reply rates, and bounce rates. Now, you can:

  • Look at the total number of recipients and the unique opens to gauge engagement.
  • Check the number of clicks to see which links are most effective.
  • Review bounce and unsubscribe rates to understand deliverability issues.
cold email campaigns with Woodpecker


Analyzing these metrics helps you understand what’s working and what’s not. High open rates with low click rates? Your subject lines are effective, but your content might need tweaking. Low open rates? Your subject lines might need improvement.

High bounce rates? Your email list might need cleaning. In this way, you can be sure that the changes you make to your campaigns are based on clean data.

Here’s what to look out for:

  1. Open rates: Indicates interest. A low open rate means your subject lines or timing might be off.
  2. Click-through rates: Measures engagement with your content. Low rates suggest the content isn’t compelling.
  3. Reply rates: Shows direct interest and engagement. High reply rates mean your call-to-action is effective.
  4. Bounce rates: High bounce rates indicate issues with your email list quality.
  5. Unsubscribe rates: If this is high, your emails might be too frequent or not relevant.

We can’t leave you without some actionable steps:

  1. Optimize subject lines: If open rates are low, test new subject lines. Make them compelling and relevant.
  2. Improve content: For low click-through rates, ensure your content is engaging. Use personalized and relevant information.
  3. Clean email list: High bounce rates? Regularly clean your email list to remove invalid addresses.
  4. Adjust frequency: High unsubscribe rates suggest you might be emailing too often. Adjust your email frequency accordingly.

Use Woodpecker’s A/B testing feature to test different versions of your emails. Compare results to see what works best.

Also, consider the timing of your emails. Woodpecker’s time zone feature can send emails at optimal times based on where your prospects are located.

Gif with reviewing dynamic content emails in A/B testing


Analyzing your campaigns is indispensable. Use the insights to tweak your strategy and improve results continuously.

This rinse-and-repeat process guarantees that your email outreach becomes more effective over time, which drives better engagement and conversions.

Curious about Woodpecker? Start a 7-day free trial!

Stay connected with personalization

Personalized outreach is key for connecting with your audience. This guide covered the full process – from finding your ideal customers to sending tailored emails that grab attention.

To summarize the main points:

_What comes next are data records, not part of the entry_
********
Calculated XRD peak list
Compound: Pr4B3Rh12
Radiation: Cu Ka
Structure: a GGA-PBE-relaxed structure

Peak list (8 most intense, 2θ = 10–90°, sorted by position)
2θ/deg	I (rel.)
36.66	100
42.23	36
43.30	16
61.25	12
62.08	21
73.55	25
75.07	11
77.95	11

Crystal structure
Cell lengths 4.280, 4.280, 16.716 Å; angles 90.00, 90.00, 90.00 degrees
Atoms (fractional coordinates):
Pr1 0.000 0.000 0.120
Pr2 0.000 0.000 0.374
Pr3 0.000 0.000 0.626
Pr4 0.000 0.000 0.880
B1 0.500 0.500 0.239
B2 0.500 0.500 0.500
B3 0.500 0.500 0.761
Rh1 0.000 0.500 0.000
Rh2 0.000 0.500 0.247
Rh3 0.000 0.500 0.500
Rh4 0.000 0.500 0.753
Rh5 0.500 0.000 0.000
Rh6 0.500 0.000 0.247
Rh7 0.500 0.000 0.500
Rh8 0.500 0.000 0.753
Rh9 0.500 0.500 0.115
Rh10 0.500 0.500 0.371
Rh11 0.500 0.500 0.629
Rh12 0.500 0.500 0.885

***

Calculated XRD peak list
Compound: PrSmB12
Radiation: Cu Ka
Structure: a GGA-PBE-relaxed structure

Peak list (8 most intense, 2θ = 10–90°, sorted by position)
2θ/deg	I (rel.)
21.50	66
30.59	100
37.70	42
43.82	21
49.31	50
54.38	27
68.07	28
72.31	20

Crystal structure
Cell lengths 5.844, 5.844, 4.133 Å; angles 90.00, 90.00, 90.00 degrees
Atoms (fractional coordinates):
Pr1 0.000 0.000 0.000
Sm1 0.500 0.500 0.000
B1 0.000 0.500 0.200
B2 0.000 0.500 0.800
B3 0.151 0.350 0.500
B4 0.151 0.650 0.500
B5 0.350 0.151 0.500
B6 0.350 0.849 0.500
B7 0.500 0.000 0.200
B8 0.500 0.000 0.800
B9 0.650 0.151 0.500
B10 0.650 0.849 0.500
B11 0.849 0.350 0.500
B12 0.849 0.650 0.500

***

Calculated XRD peak list
Compound: BPt2
Radiation: Cu Ka
Structure: a GGA-PBE-relaxed structure

Peak list (8 most intense, 2θ = 10–90°, sorted by position)
2θ/deg	I (rel.)
34.53	55
35.11	45
36.19	100
44.03	97
50.06	30
62.98	34
73.84	63
80.02	17

Crystal structure
Cell lengths 2.952, 2.952, 10.391 Å; angles 90.00, 90.00, 120.00 degrees
Atoms (fractional coordinates):
B1 0.333 0.667 0.250
B2 0.667 0.333 0.750
Pt1 0.333 0.667 0.616
Pt2 0.333 0.667 0.884
Pt3 0.667 0.333 0.116
Pt4 0.667 0.333 0.384

***

Calculated XRD peak list
Compound: BPt3
Radiation: Cu Ka
Structure: a GGA-PBE-relaxed structure

Peak list (8 most intense, 2θ = 10–90°, sorted by position)
2θ/deg	I (rel.)
24.88	17
28.81	57
35.66	55
38.42	70
43.97	100
51.04	22
55.60	41
75.19	36

Crystal structure
Cell lengths 7.157, 7.157, 2.755 Å; angles 90.00, 90.00, 120.00 degrees
Atoms (fractional coordinates):
B1 0.333 0.667 0.250
B2 0.667 0.333 0.750
Pt1 0.197 0.395 0.750
Pt2 0.197 0.803 0.750
Pt3 0.395 0.197 0.250
Pt4 0.605 0.803 0.750
Pt5 0.803 0.197 0.250
Pt6 0.803 0.605 0.250

***

Calculated XRD peak list
Compound: YBPt3
Radiation: Cu Ka
Structure: a GGA-PBE-relaxed structure

Peak list (8 most intense, 2θ = 10–90°, sorted by position)
2θ/deg	I (rel.)
20.44	8
29.07	5
35.80	100
41.57	52
46.75	4
60.25	35
72.10	40
75.86	12

Crystal structure
Cell lengths 4.345, 4.345, 4.345 Å; angles 90.00, 90.00, 90.00 degrees
Atoms (fractional coordinates):
Y1 0.000 0.000 0.000
B1 0.500 0.500 0.500
Pt1 0.000 0.500 0.500
Pt2 0.500 0.000 0.500
********

  • First, identify your ideal customer profile based on data about your best customers.
  • Then, collect and enrich prospect data through tools like Uplead.
  • Monitor prospect behavior to understand their interests and actions.
  • Next, craft personalized emails using details from their data.
  • Include specifics that make them feel valued.
  • Follow up strategically by providing new value and adjusting timing based on engagement.
  • Finally, analyze metrics like open rates, clicks, and replies.
  • Use these insights to continuously optimize your subject lines, content, lists, and cadence.

Personalization builds relationships. Generic blasts get ignored. But tailored outreach resonates. It shows you understand prospects’ needs and can solve their problems.

So start segmenting your data, testing approaches, and refining your strategy. Personalized outreach takes work, but the payoff is higher engagement, more conversions, and stronger customer connections. Make your brand stand out by making prospects feel seen.